Microsite Net for U
Partners of the project
Istituto Don Calabria (IT) Coordinator of the project
The mission of Istituto Don Calabria is to promote the wellness of people, satisfying their overall needs, by enhancing their attitudes and abilities, so that they might be included into the social and working environment in the best possible way. With its headquarters in Verona (Veneto region in the North of Italy), it also coordinates other structures in many other regions.
All activities are inspired by the principles and values inherited by the founder of the Congregation, San Giovanni Calabria; the principal aims are the fulfillment and the social participation of the persons, especially the disadvantaged ones, and the prevention of social exclusion and marginalization.
Our target groups are:
- young people with social handicaps;
- people with acquired disabilities;
- disadvantaged young people
- unemployed adults;
- immigrants;
- ex-prisoners;
- juvenile offenders;
- former drug addicts;
- unaccompanied foreign minors.
In Verona, Ferrara (Emilia Romagna region), Palermo and Termini Imerese (Sicily region) (areas involved in the NET FOR U project), minors who reach our country are hosted in educational communities and facilities: we provide for their accommodation needs and their genera wellbeing. The operators help them to live in a new country as far as: health, education and job, autonomy and leisure time. In our structure also courses and activities about specific topics are organize such as: sexuality, Italian or English language, health, legality, self help groups, sport activities, tours and outings, and so on.
All the educators work to create a social net with stakeholder and with companies to organize better opportunities for the adulthood transition.
Euro Peace Youth (UK)
Euro Peace Youth is made up of a group of individuals who have come together to provide integrated services to young people, their families and communities that are based on shared values and preferred outcomes. The organisation’s aim is:
- To provide integrated (therapeutic, lifelong learning and progression/employability) services to the most vulnerable youth and young adults in a variety of settings across Europe.
- To prepare and train staff to work in and develop these services
- To build the capacity of local professional & community networks to sustain the development of these services.
- To build an epistemic culture within & between organisations
- To actively research & develop new, innovative & effective ways of delivering services to this target group
EPY and Unaccompanied Foreign Minors
EPY has supported, and will continue to support, a number of groups with participants who have arrived in the UK as unaccompanied minors. Members of the group vary in nationality but are predominantly from Asia and Africa and are aged 14-16. The group is also predominantly made up of boys. They all speak and understand very little English but are very determined to learn and engage. We help them to access education, healthcare, legal support and arrange workshops and group activities to support with navigating the ups and downs of adolescent life in a foreign place; this in turn helps to build trust, confidence and relationships. Our support extends to family members, foster parents and any other person relevant to the minor. Visits to the young person home are conducted and regular contact with the primary carers is carried out. We work directly with community members, youth centres, local authorities, schools, colleges and youth offending institutes to provide a network of support for the young people. The relationship between the different organisations linked to the young people it key to the growth and development of the child.
Our aim is to provide a safe and sound environment for our young people through love, care and compassion all within the boundaries of the relationship. It is our duty to engage and help enhance growth and understanding in young people through various interventions.
Fundación Diagrama (ES)
Fundación Diagrama Intervención Psicosocial is a not-for-profit organisation which has been working on a national and international scale since 1991 with people in conflict and/or social difficulty. It received Special Consultative Status at the United Nations Social and Economic Council and is a member of the NGO Conference, holding consultative relations with the United Nations in recognition of its work and background. Approximately 2500 people are part of it, including direct and indirect professionals, volunteers and collaborators which make it possible to develop the planned actions.
The main objective of Fundación Diagrama is to promote the development of establishments, programmes and research dedicated to the prevention, treatment and integration of those target groups that are in difficulty or at social risk, paying attention in particular to; children, family, youth and women, as well as those who are in a dependent situation. Fundación Diagrama runs many educational centres for young people who are in residential care or in conflict with the law, and has been developing programmes and projects based on a multidisciplinary, integral and specialised approach.
Association Diagrama (FR)
Association Diagrama Intervention Psychosociale, was founded on October 14th 2003, in Brittany, France.
The aim of Association Diagrama is to foster the development of Centres, Programmes and Research; both for the prevention, treatment and integration of sectors of the population in difficulty, or at risk socially; with particular emphasis on children, families, young people and women, and for persons who are dependent due to age, illness or physical or mental disability. Association Diagrama also aims highlight and promote the right to health, by promoting all kind of initiatives and actions with the objective of obtaining active and creative involvement that makes it possible to put in place effective solutions to achieve their integration and independence within the community. There are currently 56 people working at the two closed educational centres managed by Association Diagrama. The first centre opened in January 2007 in the municipality of Gévezé (Brittany) and the second one in November 2009 in Dreux (Eure-et Loire). These two establishments each receive twelve young multi-recidivist minors and are financed by the Ministry of Justice (PJJ - Protection Judiciaire de la Jeunesse). Association Diagrama also deals with prevention activities and, since 2008, has worked with the young people of the city of Gévezé thanks to an agreement signed between the City council and Association Diagrama.
Synergia (IT)
Synergia is an Italian social research, training and consulting firm operating since 1989 in the field of social and health policy. Synergia helps European public and private organizations to set up and manage transnational projects on different social, health, work, culture, organizational innovation related topics.
The international networks of Synergia are constituted by Ministries, Regional Authorities, Local Authorities, Local Health Authorities, NGOs, Associations, Universities, Research Institutes in every Member State of the European Union; they are differentiated by topic in order to cover all the relevant fields of interest of the wide welfare sector: elderly conditions and non-self-sufficiency, migration issues, minors and family related topics, women conditions and equal opportunities, labour and employability, planning of social and health services, quality assessment, etc.
Christian Association of Youth Villages (DE)
The CJD Hamburg + Eutin is part of the national charity CJD - ChristlichesJugenddorfwerkDeutschlands e.V. (Christian Association of Youth Villages of Germany). Founded in 1947, the CJD provides educational and social services in 150 local offices throughout Germany. At its Hamburg office the CJD provides educational support to migrant youth including academic counseling and language classes. The organisation also offers social services, job counseling, and art-related project activities. Apart from the provision of direct social services, the CJD has an academic research division devoted to national and EU research projects on the subjects of integration, migration and criminal justice.
The CJD has a long tradition of working with unaccompanied minors. At its residential facility close to the international airport of Frankfurt, unaccompanied minors are provided with German language classes, transitional educational services, vocational training, legal counseling, healthcare, and life skills courses. In its Hamburg office, the CJD has launched an acclaimed theatre production featuring unaccompanied minors and their life stories. Due to the growing numbers of unaccompanied minors arriving in Germany, the CJD is in the process of further expanding its services to this target group.
The Smile of the Child (GR)
It’s been 18 years now that the voluntary organization for children “The Smile of the Child” has been active. It all began as the vision of the 10-year old Andreas Yannopoulos, who, shortly before losing his own battle for life, documented this dream of his in his journal. Andreas’ wish materialized into the first Home for children which operated just a few months later.
“The Smile of the Child” empowered by committed professionals and the support of hundreds of volunteers, implements 24/7 throughout the year, all kinds of programs for the welfare and protection of the physical and psychological health, as well as for the safety of thousands of children in danger in Greece
The Organisation throughout the years has undertaken important pioneering initiatives, presented significant know-how & working operating models to other international network members, resulting in extensive recognition & appreciation abroad. Organizations like the “International Centre of Missing & Exploited Children”, “Child Helpline International”, “Missing Children Europe”, “United Nations”, “European Federation for Street Children” , “Eurochild” and others, honour “The Smile of the Child” as a member of their networks and in many occasions as a member of their Board.
Among other actions the Organisation operates:
- National Helpline for Children “SOS 1056”
- 116000 The European Hotline for Missing Children
- AMBER ALERT HELLAS (with the cooperation of 60 public and private institutions)
- Emergency intervention in cases of children in danger
- South-eastern European Centre for Missing and Exploited Children
- 11 Homes all over Greece
- 2 Daily Care Houses, dedicated to children whose families suffer serious social and/or financial problems
Quantum chemistry results from another source follow
'''
[1]
Here is a structure of composition C12H16Cl6IrO3 from OMol25. Energies are from wB97M-V/def2-TZVPD.

CARTESIAN COORDINATES (ANGSTROEM)
C (-2.87, 2.65, 3.41)
H (0.27, -3.94, -0.55)
H (2.43, -3.10, 0.25)
Ir (0.21, 0.45, 1.04)
Cl (-3.03, 1.30, 4.56)
H (-2.30, -0.21, 0.01)
C (-0.17, 1.80, -1.65)
Cl (-0.01, -1.65, 2.20)
C (-0.55, -0.80, -1.53)
Cl (-2.25, 4.09, 4.24)
C (2.74, 0.85, -0.90)
C (0.01, -3.32, -1.41)
H (2.53, 1.90, -0.65)
C (-1.80, 2.28, 2.23)
H (0.58, -3.70, -2.27)
C (0.33, -1.90, -1.17)
H (-2.12, -1.75, -2.57)
C (1.54, -1.40, -0.71)
O (-1.97, 2.85, 1.16)
O (-1.85, -0.03, 0.86)
H (3.49, 0.48, -0.21)
H (-1.80, -0.87, 1.38)
Cl (2.36, -0.10, 2.36)
C (2.73, -2.21, -0.33)
H (-2.22, 0.13, -2.43)
Cl (-4.46, 3.00, 2.72)
H (0.23, 1.92, -2.66)
H (3.28, -2.55, -1.22)
C (1.51, 0.04, -0.73)
H (-1.26, 1.93, -1.68)
C (-1.72, -0.81, -2.22)
H (3.11, 0.79, -1.94)
C (0.16, 0.46, -1.09)
Cl (1.21, 2.54, 1.24)
O (-0.91, 1.39, 2.58)
H (-1.06, -3.43, -1.62)
H (0.25, 2.56, -1.00)
H (3.40, -1.61, 0.29)

Its charge is -2. The spin multiplicity is 6. The energy above the lowest of the compared OMol25 structures with the same formula, charge and spin is 0.00 kJ/mol. The expectation value of S² is 8.7752.

[2]
Here is the molecule C12H16ClN3O3S from OMol25. Energies are from wB97M-V/def2-TZVPD.

CARTESIAN COORDINATES (ANGSTROEM)
S (0.52, 2.66, 0.02)
H (4.30, -0.83, -2.32)
O (3.49, 0.31, 0.75)
H (-4.33, -1.97, -0.56)
C (2.47, -1.77, 1.20)
H (3.68, 1.43, -0.99)
C (-4.36, 1.79, 0.25)
O (2.65, -0.90, -1.04)
H (-4.37, 2.85, 0.46)
C (-5.53, -0.28, -0.03)
N (-1.98, 1.93, 0.00)
C (3.32, -0.97, 0.20)
H (3.57, -2.45, -2.06)
C (-5.54, 1.08, 0.24)
C (3.36, -1.38, -2.16)
C (4.21, 1.22, -0.06)
Cl (-7.00, -1.17, -0.03)
H (4.30, -1.45, 0.06)
H (2.84, -1.58, 2.20)
N (-0.48, 0.44, 0.97)
H (2.70, -1.22, -3.01)
H (4.28, 2.14, 0.52)
C (-3.14, 1.15, -0.01)
C (-4.33, -0.92, -0.32)
C (1.01, -1.38, 1.11)
N (0.80, -0.05, 1.16)
C (-0.70, 1.59, 0.32)
H (5.22, 0.84, -0.28)
H (2.55, -2.84, 0.98)
O (0.09, -2.18, 1.06)
H (-2.24, -0.72, -0.60)
H (1.55, 0.62, 1.01)
H (-1.18, -0.29, 1.07)
H (-6.48, 1.58, 0.44)
C (-3.15, -0.21, -0.32)
H (-2.10, 2.91, -0.21)

The total energy is -46673.639 eV. As for the SMILES: COC(CC(=O)NNC(=S)Nc1ccc(Cl)cc1)OC. The spin multiplicity is 1.

[3]
Here is the molecule C12H16ClN3O5S from OMol25. Energies are from wB97M-V/def2-TZVPD.

CARTESIAN COORDINATES (ANGSTROEM)
C (-4.42, 1.74, 0.12)
N (2.81, 0.49, -0.42)
H (-4.86, 2.70, -0.08)
H (0.49, -0.09, -1.97)
H (1.85, 1.93, -1.52)
O (-0.36, 1.59, 1.59)
H (4.97, 0.36, 1.12)
H (5.06, -1.52, -1.92)
C (1.62, 1.26, -0.69)
N (-5.35, -1.91, 0.07)
C (4.70, -0.80, -1.19)
N (-0.19, -0.39, -0.05)
C (4.36, -0.56, 1.10)
H (2.54, 0.50, 1.64)
C (-3.31, -0.75, 0.67)
C (-5.19, 0.59, -0.04)
H (5.33, 0.11, -1.22)
C (-2.56, 0.40, 0.82)
H (3.20, 0.13, -2.43)
C (-4.63, -0.66, 0.23)
C (0.33, 0.50, -1.07)
H (2.29, -1.10, 0.90)
H (1.41, 1.87, 0.19)
O (4.82, -1.41, 0.07)
O (-4.97, -2.84, 0.73)
H (4.47, -1.11, 2.03)
C (-3.11, 1.64, 0.54)
'''
- Creative recreational activities in Children’s Hospitals in Athens, Thessalonica, and Patras and in “Eleftherios Venizelos” Athens’ International Airport
- Preventive Medicine and Dentistry at schools and isolated areas nationwide, carried out by the organisation’s mobile medical units
“The Smile of the Child” through the operation of the National Helpline for Children “SOS 1056” receives and responds to different inquiries related to UAMs. Most of them concern sheltering of siblings of different gender and of very young age children (under 12 years old). There is a very limited capacity in Greece for hosting these children due to the fact that all officially ERF funded shelters host only boys above 12 years old. Also, the Organisation provides the Greek authorities with staff to accompany UAMs when they are transferred within Greece. Furthermore, “The Smile of the Child” maintains a pool of volunteers, who assist the Organisation with interpretation and recreational activities at the Children’s Hospitals, where UAMs enter in order to undertake standard medical tests prior to their referral to a shelter.
“The Smile of the Child” applies personalised action plans for all children that are hosted at its Homes, including UAMs. These action plans are drafted to respond to the individual needs, capacities and wishes of each child. For the particular cases of UAMs, the Organisation cooperates with governmental and non governmental agencies, who work exclusively with migrant populations and seekers of international protection.
International Juvenile Justice Observatory (IJJO) (BE)
The International Juvenile Justice Observatory is conceived as an inter-disciplinary system of information, communication, debates, analysis and proposals concerning different areas which affect the development of juvenile justice in the world. The observatory offers different services in French, English and Spanish as well as other languages, addressed to entities, professionals and individuals from all over the world involved and interested in the subject. It seeks to be rigorous and independent in its work, its reflections and its proposals concerning Juvenile Justice, as well as minors and young people in social difficulties, with behavioural problems or in conflict with the law.
The focus of the work undertaken by the International Juvenile Justice Observatory centres on issues relating to minors and young people in conflict with the law. The political, legislative, police-related, socio-educational and scientific responses developed in each country should be concrete and applicable. The main objective established is the development of minors and young people so they can acquire the skills they need to become free citizens outside the circuits of exclusion and reclusion.
The international phenomenon of juvenile delinquency and, as a consequence, the evolution of juvenile justice should be studied and analysed from a global perspective taking into account the plurality of situations worldwide. From these official reports, the International Juvenile Justice Observatory generates impartial proposals for change taking into account economic, political, social and legal policies, the objective being to favour the harmonisation of policies affecting juveniles and young offenders.
The mission of the International Juvenile Justice Observatory is to bring an international and inter-disciplinary vision of juvenile justice in order to create a future for minors and young people all over the world who are in situations of exclusion leading to infringements of the law. It promotes international development strategies of appropriate policies, legislations and intervention methods within the context of a global juvenile justice without borders.